I walked into Kamakura Forest.
┌──
(1)
179
Properties=species:S:1:pos:R:3 method="wB97M-V/def2-TZVPD" e_lumo_ev=-1.22 orbital_gap_ev=5.80 total_charge=-1
C -10.0332 -4.6590 -5.9023
C -8.7679 -5.3248 -6.5524
C -8.4209 -5.1767 -8.0671
O -9.5224 -5.4542 -8.8396
C -9.0977 -5.7643 -10.2104
N -7.5778 -4.8228 -5.6779
H -7.4591 -3.8366 -5.4946
H -7.5546 -5.2956 -4.7857
H -6.7331 -5.0352 -6.1892
H -10.9104 -4.9935 -6.4562
H -9.8491 -3.5855 -5.9443
H -10.1564 -4.9997 -4.8743
H -8.7804 -6.3900 -6.3217
H -7.5866 -5.8506 -8.2618
H -8.1171 -4.1494 -8.2685
H -8.6263 -4.8698 -10.6175
H -9.9677 -6.0046 -10.8215
H -8.4082 -6.6085 -10.2103
C -2.0100 7.6837 -10.6425
C -1.1677 8.6866 -11.5131
C 0.3123 8.6541 -11.3851
O 0.7355 9.7678 -12.2831
C 2.0572 9.5761 -12.7926
N -1.5813 8.5224 -12.9758
H -1.5132 7.5725 -13.3123
H -2.5137 8.8569 -13.1727
H -0.9943 8.9982 -13.6460
H -1.6026 7.6429 -9.6324
H -1.7397 6.6889 -10.9968
H -3.0952 7.7861 -10.6503
H -1.4581 9.7100 -11.2758
H 0.5595 7.6223 -11.6349
H 0.5867 8.8710 -10.3527
H 2.9299 9.6913 -12.1498
H 2.0956 10.2420 -13.6547
H 2.1385 8.5547 -13.1642
C -0.0250 1.4689 -3.2440
C 0.0303 0.5251 -2.0253
C 0.0641 1.2869 -0.6659
O -0.1468 0.3482 0.3484
C -0.5968 0.8706 1.6026
N -1.2660 -0.3618 -2.0418
H -2.0581 0.2567 -2.1432
H -1.2744 -1.1639 -2.6554
H -1.3631 -0.6411 -1.0761
H -0.2200 1.0085 -4.2126
H 0.9455 1.9567 -3.3351
H -0.8281 2.1966 -3.1280
H 0.8537 -0.1869 -2.0813
H -0.7397 2.0215 -0.7145
H 1.0256 1.7956 -0.5967
H -1.4408 1.5429 1.4488
H 0.1938 1.4009 2.1334
H -0.9914 0.0930 2.2567
C 7.2220 8.2561 2.5309
C 5.8316 8.0682 1.9459
C 4.7532 7.8968 3.0168
O 3.5349 7.4662 2.4214
C 2.3857 7.6509 3.1953
N 5.4902 9.2926 1.0595
H 5.8163 10.1333 1.5146
H 5.8707 9.0966 0.1447
H 4.5422 9.4976 0.7780
H 7.9184 8.0665 1.7141
H 7.4383 7.7084 3.4481
H 7.5103 9.2531 2.8640
H 5.7052 7.2006 1.2984
H 4.6950 8.7942 3.6327
H 5.1376 7.1094 3.6651
H 2.3908 6.9325 4.0151
H 1.4755 7.3800 2.6603
H 2.2447 8.6770 3.5348
C 5.0431 -10.1369 10.4363
C 5.8514 -8.8141 10.3895
C 4.9467 -7.7624 9.7294
C 5.6278 -6.3478 9.8076
P 4.6868 -5.0873 9.0427
C 4.3767 -5.6423 7.3513
C 3.9960 -4.6519 6.2273
C 3.5640 -5.4501 4.9660
C 4.7160 -6.2326 4.1819
C 5.5644 -3.5011 9.0125
C 6.3215 -3.1519 10.2769
C 7.1884 -1.9295 10.2288
C 6.4220 -0.6049 9.9079
C 3.1058 -4.9180 9.9015
C 2.0658 -4.0611 9.2881
C 0.9963 -4.8172 8.5512
C 0.0658 -5.7596 9.2881
H 4.9362 -10.6291 9.4697
H 4.1237 -10.0015 11.0060
H 5.6093 -10.8661 11.0158
H 6.7879 -8.9458 9.8475
H 6.0608 -8.5982 11.4371
H 3.9668 -7.7465 10.2064
H 4.8431 -8.1134 8.7027
H 6.5629 -6.3695 9.2479
H 5.9735 -6.1158 10.8150
H 3.8089 -6.5728 7.3439
H 5.3201 -6.0325 6.9696
H 4.7829 -3.9238 6.0310
H 3.1199 -4.0490 6.4660
H 3.2382 -4.6938 4.2518
H 2.7844 -6.1527 5.2605
H 5.3035 -5.5465 3.5718
H 4.2496 -7.0027 3.5675
H 5.4022 -6.7450 4.8562
H 4.9137 -2.6758 8.7235
H 6.3339 -3.6161 8.2491
H 6.9350 -4.0378 10.4414
H 5.5413 -3.1124 11.0370
H 7.9973 -2.1199 9.5233
H 7.8100 -1.9200 11.1242
H 5.6340 -0.4370 10.6421
H 5.8385 -0.7030 8.9925
H 7.0679 0.2703 9.9777
└──
Really, it should be called a “mountain”, perhaps, but maybe due to the overwhelmingly shiny light from the midsummer sun; strangely, I saw every single element as an entity of its own – leaves, branches, flowers, rocks, moss, or even the fluctuation of the light. Instead of seeing a “whole”, I first perceived each individual part. Every one of these parts overlaps and comes together to form a “forest”. I suppose, to really see and experience this as a “mountain”, I would have to wait for the cooler season to come and climb it for myself.
........
1.
DFT (ωB97M-V with the def2-TZVPD basis set) results for an isolated molecule of C6H9N3S in a non-equilibrium geometry.

Relative energy (zero: lowest compared OMol25 entry of this formula, charge and spin) ... 176.89 kcal per mole
E_LUMO ... 0.611 eV
Total energy ... -796.1824 a.u.
HOMO level ... -0.2802 Eh

Atoms and positions in Å:
C (0.52, -0.63, 0.59)
C (1.88, -0.49, 0.07)
C (1.12, 0.62, 0.15)
C (-1.80, 0.50, 0.28)
C (3.04, -1.08, -0.56)
C (-2.57, -1.81, 0.80)
N (0.98, 1.95, -0.03)
N (-1.38, 1.53, -0.41)
N (-0.35, 2.45, 0.06)
S (-2.83, -0.57, -0.57)
H (3.47, -0.34, -1.38)
H (2.65, -1.89, -1.10)
H (3.94, -1.27, 0.07)
H (-2.62, -2.80, 0.37)
H (-3.58, -1.84, 1.47)
H (-1.68, -1.43, 1.40)
H (1.44, 2.51, -0.79)
H (-1.64, 1.85, -1.43)
H (-0.60, 2.74, 1.00)

Results of the Löwdin charge analysis, in e, for atoms 1 through 6: atom 1 (C): 0.16, atom 2 (C): -0.22, atom 3 (C): -0.27, atom 4 (C): -0.54, atom 5 (C): -0.06, atom 6 (C): -0.42

***

2.
DFT (ωB97M-V with the def2-TZVPD basis set) results for the ion C6H9N4 with charge +1 in a non-equilibrium geometry.

Relative energy (zero: lowest compared OMol25 entry of this formula, charge and spin) ... 58.94 kcal per mole
E_LUMO ... -4.520 eV
Total energy ... -452.7545 a.u.
Net charge ... +1
HOMO level ... -0.4773 Eh
SMILES ... C\C(N)=N/C=N\C=C/C#[NH+]

Atoms and positions in Å:
C (-2.29, -1.34, 0.02)
C (-1.47, -0.12, 0.26)
N (-1.95, 0.83, 1.05)
N (-0.27, -0.01, -0.22)
C (0.25, -0.48, -1.33)
N (1.44, -0.97, -1.42)
C (2.52, -0.74, -0.76)
C (2.77, 0.45, -0.04)
C (1.86, 1.30, 0.43)
N (1.26, 2.25, 0.80)
H (-3.28, -1.27, 0.47)
H (-2.40, -1.50, -1.05)
H (-1.78, -2.22, 0.42)
H (-1.44, 1.69, 1.18)
H (-2.87, 0.76, 1.46)
H (-0.31, -0.44, -2.26)
H (3.33, -1.46, -0.88)
H (3.79, 0.70, 0.22)
H (0.84, 2.57, 1.66)

Results of the Löwdin charge analysis, in e, for atoms 1 through 6: atom 1 (C): 0.03, atom 2 (C): -0.38, atom 3 (N): 0.21, atom 4 (N): 0.13, atom 5 (C): -0.16, atom 6 (N): 0.12

~~~~~

Arrangement w

ORCA calculation (ωB97M-V with the def2-TZVPD basis set) on C36H90O24P6 as an isolated structure.

ORCA input file:
```
! RIJCOSX wB97M-V def2-TZVPD def2/J DEFGRID3
* xyz 0 1
P -4.44 -0.65 2.18
P -2.96 1.88 -6.28
P -0.22 -1.17 -2.01
P 2.36 3.59 2.07
P -0.67 -1.61 3.74
P 3.35 -2.69 1.03
O 3.53 3.40 3.24
O -2.25 2.82 -7.45
O 0.26 -0.99 -3.58
O -5.33 0.22 2.96
O -0.35 -3.10 4.33
O 3.06 -4.09 1.85
O 0.93 3.68 2.86
O 2.24 -2.16 0.30
O -2.76 2.77 -4.92
O 2.35 2.06 1.39
O -4.40 -2.20 2.64
O -4.55 2.04 -6.61
O -2.15 -1.30 3.41
O -1.14 -2.28 -1.78
O -0.70 0.29 -1.65
O 0.42 -1.72 2.53
O -2.44 0.51 -6.11
O 3.79 -1.69 2.24
O -2.91 -0.21 2.29
O 2.70 4.64 1.04
O 1.08 -1.31 -1.10
O 4.70 -3.04 0.21
O -4.73 -0.76 0.52
O -0.07 -0.47 4.71
C 5.82 -2.12 -1.63
C -1.13 4.87 2.14
C -4.27 -2.44 4.01
C 2.16 -5.17 1.37
C -0.43 -1.76 0.30
C 0.17 0.23 -5.78
C 0.89 -3.45 4.88
C 2.61 -6.44 2.09
C 0.47 1.82 5.42
C 5.41 -1.87 -0.18
C -0.18 2.44 -8.54
C -0.47 0.96 4.62
C -4.98 3.14 -7.43
C -1.97 2.01 1.63
C -1.37 2.11 -0.62
C -4.28 -1.84 -1.83
........
-- So much for the calculated molecules --
All these unique pieces of leaves gather together in innumerable numbers to form one collective body. It is magnificent. Looking closely at the leaves, I noticed that a lot of them have been eaten by bugs, and even the famous hydrangea flowers have ended their flowering season and are looking sick. “At this rate, is this place going to be okay next year…?” I thought to myself.
A forest undisturbed by human activities is surprisingly (or rather, obviously!) a narrative of the survival of the fittest. It tells the story of preying and to be preyed on. Inadvertently, I think more of the pieces that have been eaten and preyed on. These pieces enter the bodies of some animal in the forest and turn into invisible energy to empower the predator to course through the woods. Or perhaps they get tossed around in the wind and end up somewhere decayed, aged, and in turn reborn to become part of a new green shoot the next season.
At the same time, I inadvertently thought:
Us humans exist as a part of the earth. So many thoughtless and selfish actions… But when we look at things from a broader perspective, all actions are but part of a cycle. However, is that the kind of cycle we are aiming for? Is each and every one of us living like this forest, exuding charming and magnificent vitality? As I was pondering these, I noticed words of the same content written and displayed within the precinct of Shogakuji Temple.
Imagining the whereabouts of the missing pieces of leaves that were eaten was a fun activity amidst the long hours of drawing and sketching. I want to hide that fun and enjoyment beneath this “Lid”.
Inserted here: molecular data:
+++
An isolated ion of composition C4H15N6O and charge +1 in a non-equilibrium geometry. Source: the OMol25 dataset; level of theory: the ωB97M-V functional and the def2-TZVPD basis.

* total charge: +1
* DFT total energy: -15370.8837 eV
* E_LUMO: -0.102 hartree
* ΔE to the lowest compared entry with this formula, charge and spin: 1.1516 eV

Positions of all 26 atoms, in Å:
C: -0.06 0.22 -1.72
C: -0.59 -0.93 -0.79
C: -0.47 -0.36 0.57
C: 1.01 1.23 0.01
N: 0.25 -2.17 -0.82
N: -2.00 -1.20 -1.15
N: 0.44 -1.01 1.48
N: -1.50 0.26 1.24
N: 0.29 2.40 0.24
N: 2.16 1.10 0.80
O: 1.13 0.70 -1.25
H: 0.11 -0.28 -2.68
H: -0.79 1.06 -1.71
H: 0.67 -2.34 -1.71
H: -0.39 -2.94 -0.61
H: -2.52 -0.31 -0.98
H: -2.44 -2.02 -0.65
H: 1.03 -1.53 0.89
H: -0.03 -1.56 2.22
H: -2.18 0.88 0.68
H: -1.39 0.54 2.23
H: 0.94 3.24 0.58
H: -0.17 2.64 -0.58
H: 1.19 -0.24 1.80
H: 2.34 1.86 1.48
H: 2.95 0.76 0.43

* * * * *

# 1
DFT (ωB97M-V/def2-TZVPD) results for a cluster of 8 separate species, C4H24O7 in total.

The calculation puts the gap between HOMO and LUMO at 10.984 eV. The LUMO energy comes out at 0.0126 Ha. Its charge is 0. The SMILES is CCCC.O.O.O.O.O.O.O. Its energy relative to the best compared isomer or geometry (same formula, charge and spin) is 28.01 kcal/mol. For the HOMO energy, the calculation gives -10.64 eV.

Last column: Löwdin charge in e.
CARTESIAN COORDINATES (ANGSTROEM)
C  -2.18  0.85  1.95  -0.11
C  0.01  -2.42  1.77  -0.11
C  -1.18  -1.47  1.46  -0.28
C  -1.34  -0.37  2.48  -0.27
H  -2.65  0.63  1.00  0.06
H  -1.57  1.76  1.86  0.06
H  -3.08  1.05  2.55  0.06
H  -0.04  -3.26  1.03  0.09
H  -0.05  -2.97  2.70  0.06
H  0.89  -1.82  1.82  0.03
H  -2.08  -2.12  1.27  0.12
H  -1.16  -0.96  0.50  0.08
H  -1.96  -0.69  3.33  0.10
H  -0.39  0.11  2.86  0.12
H  -1.45  3.12  -3.17  0.04
H  -0.26  2.39  -2.40  0.00
O  -1.21  2.36  -2.62  -0.06
H  2.98  -1.03  0.78  0.06
H  2.32  0.36  0.44  0.04
O  2.19  -0.60  0.43  -0.04
H  1.38  1.20  -1.65  0.00
H  0.97  2.23  -0.69  0.03
O  1.46  2.18  -1.52  -0.08
H  1.99  -1.48  -2.23  0.00
H  3.06  -2.39  -2.93  0.02
O  2.14  -2.11  -2.98  -0.09
H  -1.60  0.26  -3.32  0.03
H  -1.37  -1.29  -3.58  0.06
O  -1.67  -0.63  -2.94  -0.05
H  0.09  -0.45  -2.43  0.04
H  0.41  -0.64  -0.90  0.06
O  0.79  -0.35  -1.75  -0.09
H  0.81  2.67  2.71  0.02
H  2.03  3.29  1.82  0.04
O  1.69  2.57  2.34  -0.05

---

# 2
DFT (ωB97M-V/def2-TZVPD) results for an isolated molecule of C7H8N4O3S.

The calculation puts the gap between HOMO and LUMO at 8.365 eV. The LUMO energy comes out at 0.0034 Ha. Its charge is 0. The SMILES is C[C@H]1NC(=O)c2[nH]c(=O)c(=O)[nH]c2N1S. Its energy relative to the best compared isomer or geometry (same formula, charge and spin) is 0.00 kcal/mol. For the HOMO energy, the calculation gives -8.27 eV.

Last column: Löwdin charge in e.
CARTESIAN COORDINATES (ANGSTROEM)
C  0.28  -0.52  -0.99  -0.09
C  0.19  0.70  -0.40  -0.19
C  0.69  -1.71  -0.25  -0.44
C  -0.42  0.40  -3.12  -0.39
C  -0.52  1.82  -2.43  -0.33
+++
End of the molecular data:
The “Lid” could be interpreted as the physical lids of the vessels created by artist Kaoru Takagi, or it could also be interpreted as the entrance to the exhibition venue’s old residence. Or perhaps it could be the moment you get off the train at North Kamakura station, or even perhaps you never found the “Lid” at all. Whichever situation it may be, the moment the adventures surrounding the “Lid” begins, I hope our human imagination will expand and overflow in unexpected directions.
翻訳:Translation/ Yi Jing